When summer is in full swing, the time you spend outdoors will increase tremendously. Summer is the season for outdoor barbecues, grass parties, fresh fruits and vegetables, lawn and garden maintenance, swimming and pool parties. Summer also brings with it a rise in temperatures and incidences of dehydration. While dehydration can hit at any time, the scorching summer temperatures also bring about an increased risk of losing excess water.
What is dehydration?
### Misplaced materials data
-- begin --
Rb3Mg5: theoretical powder XRD pattern (Cu Kα, 1.54184 Å), based on the PBE geometry in Alexandria.
Neutral-atom scattering factors, no anomalous dispersion.

Atomic structure:
Lattice parameters (Å, degrees): 10.642 10.642 10.571 95.66 95.66 143.43
Fractional coordinates of all 16 atoms:
Rb  0.000  0.000  0.000
Rb  0.042  0.542  0.085
Rb  0.085  0.500  0.585
Rb  0.500  0.085  0.585
Rb  0.542  0.042  0.085
Rb  0.585  0.585  0.171
Mg  0.040  0.040  0.586
Mg  0.104  0.255  0.360
Mg  0.255  0.104  0.360
Mg  0.329  0.480  0.811
Mg  0.480  0.329  0.811
Mg  0.545  0.545  0.585
Mg  0.604  0.832  0.432
Mg  0.752  0.981  0.738
Mg  0.832  0.604  0.432
Mg  0.981  0.752  0.738

Largest 10 diffraction maxima, low angle first, 10° ≤ 2θ ≤ 80°:
2theta, I_rel
17.55, 42
17.67, 41
19.26, 26
19.71, 67
25.01, 63
29.09, 73
29.16, 25
29.55, 100
34.13, 27
39.06, 45
-- stop --
Dehydration is defined an excessive loss of bodily fluid through sweating, vomiting, urination or diarrhea. Our body is made up of approximately two-thirds water. It is a major component of every cell, tissue and organ in the body. It also plays an integral part in almost every body function. Water helps to regulate our body temperature; it transports oxygen and nutrients in the blood; it aids in the elimination of body waste; and it serves as lubrication to our joints. The amount of water required each day depends on a variety of factors, including your general health, your activity level, and the climate where you live.
Dehydration Signs and Symptoms…
Summer is an important time to remember to stay hydrated and recognize the signs of dehydration. The body can lose vast amounts of water, especially on days that temperatures soar close to or above 100 degrees. Some sign and symptoms are:
- Dry or sticky mouth-this is especially obvious in babies and very small children
- Irritability-this is also obvious in babies, and if this, along with a dry mouth, occur, give the baby water immediately
- Little to no urination-any urine that occurs in extremely dark in color
┌──
Starting from the PBE geometry in the Materials Project, the XRD peak list of Mg6ZnSiO8 was calculated for copper Kα.

Atomic structure:
Cell lengths 4.3317, 4.3317, 8.6226 Å; angles 90.00, 90.00, 90.00 degrees
Sites, in units of the cell vectors:
Mg1 0.0000 0.0000 0.0000
Mg2 0.0000 0.0000 0.5000
Mg3 0.0000 0.5000 0.2469
Mg4 0.0000 0.5000 0.7531
Mg5 0.5000 0.0000 0.2469
Mg6 0.5000 0.0000 0.7531
Zn1 0.5000 0.5000 0.0000
Si1 0.5000 0.5000 0.5000
O1 0.0000 0.0000 0.2506
O2 0.0000 0.0000 0.7494
O3 0.0000 0.5000 0.0000
O4 0.0000 0.5000 0.5000
O5 0.5000 0.0000 0.0000
O6 0.5000 0.0000 0.5000
O7 0.5000 0.5000 0.2429
O8 0.5000 0.5000 0.7571

Principal peaks in the range 2θ from 10° to 90°, in order of falling intensity:
d/Å	intensity	h k l
└──
- Sunken eyes
- Restlessness at night or trouble sleeping
- Low blood pressure
- Rapid heartbeat
- Rapid breathing
- In extreme cases, unconsciousness may occur
Ways you can prevent dehydration during hot summers:
- Know the possible signs and symptoms:
Know the possible signs and symptoms of dehydration. When a person is dehydrated, you can observe some signs and symptoms such as physical fatigue, excessive feeling of thirst, dizziness, paleness, dark yellow urine and urination fewer than 5 times in a day. Knowing the possible signs may help you prevent dehydration. You will know what to avoid and what to do.
- Eat more fruits and vegetables:
When your body is depleted and you are trying to fill the tank, nearly any form of liquid can make a worthy contribution. That includes the water in fresh fruits and vegetables, since the majority of these are at least 75 percent water.
- Stay in cool places:
Weather can be a major factor. When there is too much heat, it can possibly dehydrate a person. To prevent dehydration from occurring, you should stay in cool places as much as possible. Hot or warm weather can be inevitable. You cannot control the weather. You cannot make it cool, chilly and freezing. All you have to do is try to be in cool places. You can go to the mall or stay in your air conditioned room. These places can cool you down.
- Always have water with you:
Always remember that no other liquids can make you feel re-hydrated rather than water alone. Drink plenty of water. If there is no water available, you can drink Gatorade as an alternative drink. This drink contains electrolytes and carbohydrates that can help in preventing dehydration. As much as possible, drink plenty of water every day. It is highly recommended that you drink at least 8 to 10 glasses a day. This will keep you hydrated and avoid dehydration.
- Avoid alcohol and caffeine:
Alcohol and caffeine are powerful diuretics. When you have drinks that contain these diuretics, they flush out fluid faster than they contribute it. Avoid them altogether, if you can. If you can’t, limit the intake.